
Whilst its undeniably exciting to get into the pre-implementation part of the process and see all your hard work start coming to fruition, it is important not to get complacent here. In many ways, it’s one of the most difficult phases. Make sure to invest plenty of time in the pre-implementation phase as this can help to prevent problems from occurring at later stages.  Here are some key steps to consider to support you in developing a clear pre-implementation strategy

The team you need

# Attached: records of molecules
=====
Computed, not measured: one molecule with the formula C10H13BrN4, with ωB97M-V/def2-TZVPD.

```
28
Properties=species:S:1:pos:R:3
C 0.30122 -0.45076 -0.09261
C -0.69479 -0.94468 -0.92019
C 0.43222 1.00494 0.18121
C -1.56668 1.23169 -1.02498
C 2.03097 3.61080 0.52642
C 1.38817 -1.32050 0.52226
C 2.67420 -0.40350 0.71317
C -0.81444 -2.32973 -1.54611
C -2.59987 2.08781 -1.59090
C 0.84957 -1.79223 1.91741
N -1.57933 -0.02380 -1.40952
N -0.53938 1.81256 -0.24303
N 2.31586 2.37791 0.53986
N 1.54246 1.42558 0.82604
Br 3.83325 0.00409 -0.64878
H 2.75639 4.29589 0.43072
H 0.97439 3.98437 0.62238
H 1.63985 -2.21001 -0.02104
H 2.91620 -0.38332 1.73828
H -1.36551 -3.08610 -0.93315
H -1.51026 -2.29487 -2.49587
H 0.20888 -2.76167 -1.89850
H -3.39963 2.49044 -0.91039
H -2.22868 3.03365 -1.98390
H -3.08465 1.52867 -2.40195
H 0.10449 -1.10246 2.37248
H 1.59692 -1.91261 2.68836
H 0.22524 -2.68600 1.95810
```

Summary:
- energy relative to the best compared isomer or geometry (same formula, charge and spin) (kcal per mole) = 0.0
- DFT total energy (eV) = -86579.4260
- total charge = 0
- Kohn-Sham gap (alpha / beta) (eV) = 8.168 / 8.171
- max |F| (eV/A) = 5.4
- lowest unoccupied orbital energy (alpha / beta) (Ha) = 0.004 / 0.004
- HOMO energy (alpha / beta) (hartree) = -0.2959 / -0.2959

Results of the Löwdin charge analysis, in e, for atoms 1 through 2:
1 C -0.0983
2 C -0.2607

Computed, not measured: C10H13CeNO5 as an isolated structure, with ωB97M-V/def2-TZVPD.

```
30
Properties=species:S:1:pos:R:3
Ce 0.13272 -2.07394 -2.53258
O -0.97938 -4.44755 -0.35064
C -0.58810 -3.81658 -1.26547
C 0.80013 -0.12269 -3.44380
O 1.10258 0.97128 -3.77093
C -1.98857 -1.49352 -2.97431
O -3.09753 -1.12920 -3.01736
C 2.22273 -2.34592 -1.76111
O 3.24807 -2.44482 -1.21756
H 0.58747 -4.59544 -5.63425
H 0.82262 -3.98996 -6.02145
O -0.29204 -0.96881 -0.15139
C -0.46941 0.06135 0.55818
C -0.87610 -0.05678 1.97764
C 0.18591 0.47290 2.96123
C 0.21224 1.98233 3.03566
C 0.57327 2.74261 1.76200
C -0.36935 2.54818 0.59281
N -0.25234 1.25299 0.01308
H -1.84944 0.45713 2.11976
H -0.99644 -1.14090 2.11813
H -0.00684 0.03240 3.96032
H 1.17509 0.08029 2.67977
H -0.78247 2.32067 3.35927
H 0.92888 2.27470 3.82000
H 0.62582 3.82205 1.96632
H 1.57886 2.45932 1.44247
H -1.40528 2.66023 0.92630
H -0.18701 3.30589 -0.18989
H -0.05610 1.18176 -0.96222
```

Summary:
- ⟨S²⟩ = 0.751
- DFT total energy (eV) = -35199.6336
- total charge = +3
- spin multiplicity = 2
- Kohn-Sham gap (alpha / beta) (eV) = 3.758 / 3.851
- max |F| (eV/A) = 13.6
- lowest unoccupied orbital energy (alpha / beta) (Ha) = -0.572 / -0.568
- HOMO energy (alpha / beta) (hartree) = -0.7098 / -0.7100

Results of the Löwdin charge analysis, in e, for atoms 1 through 2:
1 Ce 1.3358
2 O 0.2912

Computed, not measured: C10H13ClO3W as an isolated structure, with ωB97M-V/def2-TZVPD.

```
28
Properties=species:S:1:pos:R:3
Cl 2.32857 -2.50982 1.33625
C 0.83500 1.18904 -0.08928
C 0.33873 1.02358 -1.44055
C 1.29649 0.30861 -2.20186
=====

All in. From IT Managers to Pharmacists, everyone has a role at pre-implementation. 

What to do

Molecular data that have nothing to do with the article =
<<<
C14H9Cl3ErN4O2S4Si | ωB97M-V/def2-TZVPD

```
38
Properties=species:S:1:pos:R:3:forces:R:3:nbo_charge:R:1
Er 1.129 -1.503 0.953 1.14 0.31 -1.27 1.3295
O -0.547 1.697 3.803 -0.10 0.08 0.07 -0.6763
C -1.387 2.312 2.947 -0.05 -0.06 -0.18 0.3441
C -2.116 3.400 3.428 0.02 0.03 0.11 -0.2838
C -2.992 4.077 2.605 0.03 -0.03 0.01 -0.1787
C -3.157 3.685 1.280 -0.07 0.04 -0.11 -0.2724
C -2.442 2.609 0.794 0.05 0.04 0.15 -0.1491
C -1.553 1.905 1.611 0.10 -0.06 0.24 -0.1546
C -0.805 0.743 1.069 -0.27 0.03 -0.66 0.5851
O -0.019 0.059 1.859 -0.30 0.63 0.20 -0.8475
N -0.994 0.477 -0.189 -0.25 0.42 0.09 -0.4296
N -0.297 -0.615 -0.706 -0.15 0.17 0.15 -0.4468
C -0.594 -0.801 -1.943 -0.01 0.11 0.23 -0.0435
S -1.755 0.263 -2.721 0.01 -0.14 -0.20 0.3181
C -1.494 -0.449 -4.380 0.03 0.14 0.21 -0.5477
C -1.169 -1.915 -4.218 0.15 -0.06 0.25 -0.5358
S 0.096 -2.074 -2.909 -0.09 -0.03 -0.24 0.3650
H -0.160 0.936 3.323 0.05 -0.01 -0.01 0.5140
H -1.978 3.690 4.462 0.02 -0.01 -0.01 0.2182
H -3.554 4.916 2.997 0.01 0.01 0.01 0.2047
H -3.841 4.219 0.634 0.01 -0.01 0.00 0.2061
H -2.549 2.289 -0.232 -0.01 -0.02 -0.02 0.2331
H -0.672 0.086 -4.853 -0.02 -0.03 -0.08 0.2208
H -2.409 -0.298 -4.952 0.00 0.02 -0.02 0.2274
H -0.746 -2.346 -5.124 -0.01 -0.02 -0.01 0.2331
H -2.046 -2.484 -3.911 -0.03 0.00 -0.08 0.2180
S 2.457 -3.046 -0.743 0.23 0.05 0.05 -0.2911
C 3.852 -2.060 -1.125 -0.13 0.34 0.30 -0.2712
C 4.705 -2.623 -2.121 0.34 -0.18 -0.27 0.2736
N 5.373 -3.108 -2.924 -0.07 0.04 0.03 -0.3440
C 4.186 -0.856 -0.573 -0.35 -0.46 -0.07 -0.2635
S 3.283 0.035 0.629 0.08 -0.12 -0.02 -0.2943
C 5.400 -0.241 -1.003 0.39 0.20 -0.10 0.2727
N 6.387 0.260 -1.324 -0.08 0.00 0.01 -0.3397
Cl -0.486 -3.331 1.440 -0.19 -0.74 0.65 -0.4815
Si 1.249 -2.729 3.470 -0.54 -0.76 0.17 0.9100
Cl 1.918 -4.651 3.808 0.13 -0.03 0.08 -0.4092
Cl -0.273 -2.530 4.839 -0.06 0.13 0.32 -0.4131
```
Positions in Å, forces in eV/Å.

## Properties
Gap between HOMO and LUMO (alpha / beta) = 6.713 / 6.738 eV
HOMO (alpha / beta) = -4.975 / -4.983 eV
⟨S²⟩ = 3.75
Net charge = -1
2S+1 = 4

***

C28H45GeN5Se5SiTi | ωB97M-V/def2-TZVPD

```
86
Properties=species:S:1:pos:R:3:forces:R:3:nbo_charge:R:1
Ti 0.068 -0.603 -0.372 -0.29 -0.26 1.31 1.2593
Se 0.085 -0.156 2.287 0.01 -0.16 0.06 -0.5030
Se 1.714 -1.782 2.688 0.00 0.02 -0.02 -0.0434
Se 0.621 -3.739 2.050 -0.01 0.00 -0.05 -0.0871
Se -0.191 -3.239 -0.108 -0.06 -0.02 0.02 -0.4947
C 3.034 -3.453 -1.148 0.04 0.01 0.03 -0.6513
C 3.270 -2.093 -0.552 -0.18 -0.05 -0.14 0.2736
C 4.460 -1.837 0.099 0.07 0.03 0.00 -0.2835
C 4.674 -0.567 0.627 0.03 -0.03 -0.01 -0.1424
C 3.729 0.411 0.460 -0.04 0.05 0.01 -0.3292
C 2.548 0.110 -0.255 -0.04 0.22 -0.17 0.4209
N 2.330 -1.147 -0.720 0.31 0.15 0.16 -0.5956
N 1.531 0.989 -0.529 0.25 -0.25 -0.15 -1.2161
Si 1.996 2.605 -0.890 -0.15 0.02 0.14 1.8579
C 3.330 2.576 -2.209 0.16 -0.02 -0.13 -1.1371
C 0.658 3.717 -1.597 -0.14 0.05 -0.01 -1.1242
C 2.660 3.581 0.575 0.05 0.11 0.17 -1.1528
H 2.754 -4.165 -0.369 -0.02 0.01 0.00 0.2555
>>>
The article goes on =

  • Creating your Project Implementation Strategy

    When creating your strategy, you need to ask yourself a few key questions:

    • How effective is your roll-out plan?
    • What are your options for contingency plans?
    • Have you developed an effective escalation plan when thinking about your downtime strategy?
    • Have you developed a downtime strategy?
    • Is your governance structure right?
    • Who needs to be involved in your steering group/ change boards?
  • Designing your workflow

    • Identify key clinical people to involve
    • Examine your current workflows. This also means spending sufficient time mapping existing and future work processes. It is important to remember that informal local practices may differ from policy and that plans need to be grounded in these practices.
    • Engage users. You need everyone’s buy-in and understanding of the product you have procured.  This includes pharmacists, doctors and nurses. This isn’t just about telling them the positive changes the system will bring, but also the less positive, such as the possibility that systems may slow down their work. To manage expectations, you need to be just as clear about the system limitations as its capabilities.
    • Pilot the system. Go-live initially with limited functionality and/or in a limited number of wards/speciality areas and iron out any problems on this smaller scale. Piloting the system can be done as part of a ‘pre-implementation dress rehearsal’ or as part of the first phase of the roll-out
  • Training

Attached: records of molecules
=====
{
  "formula": "C26H67As2F14N6O12S2V",
  "method": "wB97M-V/def2-TZVPD",
  "elements": ["O", "V", "O", "As", "F", "F", "F", "F", "F", "F", "As", "F", "F", "F", "F", "F", "F", "N", "S", "O", "O", "F", "S", "O", "O", "F", "C", "C", "C", "C", "C", "C", "N", "O", "C", "C", "C", "H", "H", "H", "H", "H", "H", "H", "H", "H", "H", "H", "H", "H", "H", "H", "H", "H", "H", "H", "C", "O", "H", "H", "H", "H", "C", "C", "C", "O", "C", "N", "H", "H", "H", "H", "H", "H", "H", "H", "H", "H", "H", "C", "C", "C", "O", "C", "N", "H", "H", "H", "H", "H", "H", "H", "H", "H", "H", "H", "C", "C", "C", "O", "C", "N", "H", "H", "H", "H", "H", "H", "H", "H", "H", "H", "H", "C", "C", "C", "O", "C", "N", "H", "H", "H", "H", "H", "H", "H", "H", "H", "H", "H"],
=====

    • Identify “super users”. These are end-users who can receive “advanced” training with a view to them being able to provide expertise and training to their colleagues during the implementation phase and beyond.
    • Undertake a training needs analysis. This should be done for all users (administrative, clinical and technical staff) who will interact with the system. 
  • Configuration and Testing

    • Make time for technical considerations. This includes system configuration, data migration plans, back-up arrangements, testing of software (user acceptance testing) and checking hardware (for example client response times, server configuration, wireless infrastructure, etc). Additional information technology requirements may need to be put in place to allow the system to operate efficiently and effectively. These include infrastructures, interfaces with existing systems (including paper-based processes), as well as necessary software and hardware, such as portable devices.
  • Reporting

    • Define your reporting practises and mechanisms. Start by considering what metrics are important to measure.Have a look at our Benefits Realisation resource to learn more about the various metrics that are currently being measured.
  • Communications

    • Engage your comms team. Your comms team should be involved from the beginning, so they have all the information to be able to develop an effective communication and engagement strategy for all your audiences; staff, stakeholders and external. From managing expectations to ensuring awareness, to even creating engagement and adherence in staff, your communications strategy is critical to the success of your ePMA project

What to read


The journey begins but the learning does not stop here.

Feel free to ask our network members via NHS Futures on how they have tackled pre-implementation and the steps they have taken to ensure the process runs smoothly.

If you have further learnings to offer, step on up and provide your knowledge via HEXITIME.